Projection is fascinating, isn’t it?
When I looked up the definition of projection I saw a lot of stuff related to television screens. So I’ll clarify—as if it’s necessary in this blog—that I mean psychological projection.
[1]
VASP calculation (PBE) on Ba4BiTeO after structural relaxation.

Cell: 10.344 10.344 7.407 Å, 90.00 90.00 137.63°
Fractional positions:
Ba 0.000 0.500 0.000
Ba 0.000 0.500 0.500
Ba 0.068 0.932 0.750
Ba 0.415 0.585 0.750
Ba 0.500 0.000 0.000
Ba 0.500 0.000 0.500
Ba 0.585 0.415 0.250
Ba 0.932 0.068 0.250
Bi 0.113 0.887 0.250
Bi 0.887 0.113 0.750
Te 0.386 0.614 0.250
Te 0.614 0.386 0.750
O 0.281 0.719 0.750
O 0.719 0.281 0.250

* DFT total energy: -60.5 eV per cell
* ρ: 5.608 Mg/m³
* magnetic moment: 0.005 μB per cell
* formation energy without anion corrections: -1513 meV per atom
* space-group type: Cmcm


[2]
VASP calculation (PBE) on Ba3BiTe2O9 after structural relaxation.

Cell: 6.179 6.179 7.577 Å, 90.00 90.00 120.00°
Fractional positions:
Ba 0.000 0.000 0.000
Ba 0.333 0.667 0.677
Ba 0.667 0.333 0.323
Bi 0.000 0.000 0.500
Te 0.333 0.667 0.167
Te 0.667 0.333 0.833
O 0.000 0.500 0.000
O 0.177 0.353 0.323
O 0.177 0.823 0.323
O 0.353 0.177 0.677
O 0.500 0.000 0.000
O 0.500 0.500 0.000
O 0.647 0.823 0.323
O 0.823 0.177 0.677
O 0.823 0.647 0.677

* DFT total energy: -88.0 eV per cell
* ρ: 6.761 Mg/m³
* magnetic moment: 0.000 μB per cell
* formation energy without anion corrections: -1828 meV per atom
* space-group type: P-3m1


[3]
VASP calculation (PBE) on BaTi4Bi4O15 after structural relaxation.

Cell: 20.641 20.641 20.641 Å, 169.17 169.17 15.34°
Fractional positions:
Ba 0.000 0.000 0.000
Ti 0.348 0.348 0.000
Ti 0.449 0.449 0.000
Ti 0.551 0.551 0.000
Ti 0.652 0.652 0.000
Bi 0.104 0.104 0.000
Bi 0.219 0.219 0.000
Bi 0.781 0.781 0.000
Bi 0.896 0.896 0.000
O 0.051 0.551 0.500
O 0.142 0.642 0.500
O 0.250 0.750 0.500
O 0.304 0.304 0.000
O 0.358 0.858 0.500
O 0.402 0.402 0.000
O 0.449 0.949 0.500
O 0.500 0.500 0.000
O 0.551 0.051 0.500
O 0.598 0.598 0.000
O 0.642 0.142 0.500
O 0.696 0.696 0.000
O 0.750 0.250 0.500
O 0.858 0.358 0.500
O 0.949 0.449 0.500

* DFT total energy: -177.4 eV per cell
* ρ: 7.509 Mg/m³
* magnetic moment: 0.000 μB per cell
* formation energy without anion corrections: -2251 meV per atom
* space-group type: I4/mmm


[4]
VASP calculation (PBE) on BaTi2Bi2O7 after structural relaxation.

Cell: 10.465 10.465 10.465 Å, 157.73 38.39 149.13°
Fractional positions:
Ba 0.000 0.000 0.000
Ti 0.414 0.001 0.414
Ti 0.587 0.001 0.586
Bi 0.266 0.484 0.782
Bi 0.702 0.484 0.218
O 0.193 0.872 0.322
O 0.348 0.450 0.898
O 0.348 0.848 0.500
O 0.550 0.872 0.678
O 0.552 0.450 0.102
O 0.733 0.311 0.422
O 0.889 0.311 0.578

* DFT total energy: -86.6 eV per cell
* ρ: 5.695 Mg/m³
* magnetic moment: 0.000 μB per cell
* formation energy without anion corrections: -2201 meV per atom
* space-group type: Imm2


[5]
VASP calculation (PBE) on Ba2Ti5Bi4O18 after structural relaxation.

Cell: 24.552 24.552 24.552 Å, 170.82 170.82 12.99°
Fractional positions:
Ba 0.042 0.042 0.000
Ba 0.958 0.958 0.000
Ti 0.332 0.332 0.000
Ti 0.415 0.415 0.000
Ti 0.500 0.500 0.000
Ti 0.585 0.585 0.000
Ti 0.668 0.668 0.000
Bi 0.128 0.128 0.000
Bi 0.224 0.224 0.000
You know, where you attribute your feelings or thoughts to someone else. You assume they think and feel the way you do. (Okay psychologists, don’t write me letters of correction. I know that it was originally a Freudian defense mechanism and there’s much more to it. I’m generalizing here).
Or, more broadly, you see or treat them in a way that’s completely colored by your own stuff.
It’s so easy to project. Especially onto a nonverbal being. Who you’d really love to understand.
This could be why my husband and I used to project all over our poor dogs. I used to say, “Look how mad Buddha is that I have to go on this damn work trip. She really hates my boss and she can’t wait until I can quit this job; it’s written all over her furry little face”.
Then we had a baby. Pre-verbal. And we’re way more interested in her than in the dogs.
We take her to a music class every week. She’s one of about 10 kids and the youngest by far. The only crawler. The only one who isn’t talking yet, or doing much of the formal dancing, singing, or instrument playing.
Hubby and I let our personal stuff ooze all over pre-verbal Willow. Poor little blank slate gets all varieties of our projected crap.
Most of the music class is spent sitting in or dancing around a circle. When Willow crawls or wriggles away out of formation, more interested in being in the middle of the circle, or chewing on another kid’s pants, or trying to nurse from the chest of the woman (or man) next to us, I cheer her on.
You go, girl! Circle, schmircle—don’t conform to what everyone else is doing! Make a mess, break the rules, rebel!
Truth be told, I have problems with authority. I’m afraid to conform; afraid of being controlled, following the crowd, being boxed in, being average or even worse, being boring. Always have been. It’s all my stuff.
Hubby couldn’t be less like me in that respect.
He likes structure (which is what he calls the thing I call conformity). Loves to fit in, thinks things work better when you don’t try to rebel so much. He has no fear of being boxed in—his fear is of being an outcast, making waves, being disruptive.
So while Willow is unbuttoning the shirt of the mama next to us, his anxiety is through the roof. He’s trying to rein her in. I’m laughing and encouraging her to express herself.
You can imagine our conversation on the car ride home.
It’s a game of push and pull. I’m pushing her out front, giving positive reinforcement when she does something anti-norm, and he’s pulling her in, teaching her that good little girls don’t make a scene.
Push, pull, push, pull. (Before you report us to child services, we aren’t literally pushing or pulling our baby, or even openly disagreeing among ourselves. What it actually ends up looking like is a pretty healthy compromise where she wanders just outside our reach for most of the class. It just feels like anxiety-driven pushing and pulling to us.)
I have my ideas about the traits I want to encourage in her and he has his. Neither is right or wrong. Or even more right or more wrong. And it’s HARD for me to say that because I deeply feel that my way is better. But I know that it’s not—that’s just my stuff talking.
It’s all our stuff. Our patterns. And it’s so interesting to notice. To just watch how we do that; how we see the world through our highly personalized lens. And we have such wildly different prescriptions, yet as soon as we recognize and name the patterns and realize why we’re doing what we’re doing to our cute little innocent blank slate, it kind of drops away.
The sting lessens. I can relax a little when she’s being “too good” and he can relax a little when she’s being “too bad”.
Just notice it for yourself. Where are you projecting? Can you notice it and let yourself relax a little?
This! This. Thiiiiis….
“Truth be told, I have problems with authority. I’m afraid to conform; afraid of being controlled, following the crowd, being boxed in, being average or even worse, being boring. Always have been. It’s all my stuff.”
[…] Projection. And Parenting. […]
[…] when I write about sabotaging my marriage or projecting my stuff onto my poor kid, you’ll know who I’m talking […]
[…] Projection. And Parenting. […]